- - -
(1)
Molecular formula: C7H12N2O3
Method: DFT, the ωB97M-V functional and the def2-TZVPD basis

Each line ends with the Löwdin charge.
Geometry (Å):
O: -0.997 -0.362 -0.722  0.05
O: 4.414 -1.681 -0.187  0.01
O: -6.408 -0.067 -0.397  0.06
N: 2.594 -0.298 -0.138  -0.19
N: 2.020 0.939 -0.480  -0.08
C: -2.189 -0.559 -0.611  -0.26
C: -2.955 -0.320 0.591  -0.03
C: 2.639 2.064 0.231  -0.11
C: -4.293 -0.232 0.668  -0.04
C: 3.868 -0.638 -0.500  -0.32
C: 1.736 -1.207 0.627  -0.03
C: -5.191 -0.173 -0.459  -0.26
H: 1.140 -0.581 1.310  0.09
H: 3.675 2.290 -0.073  0.07
H: 2.366 -1.931 1.150  0.08
H: -4.738 -0.129 1.652  0.12
H: 2.034 2.970 0.068  0.08
H: -2.768 -0.988 -1.458  0.12
H: 2.651 1.837 1.307  0.08
H: -2.375 -0.164 1.491  0.12
H: 1.068 -1.754 -0.057  0.08
H: 2.016 1.047 -1.499  0.12
H: 4.366 0.175 -1.055  0.13
H: -4.675 -0.239 -1.458  0.12

Its SMILES is O=C/C=C\C=O.CNN(C)C=O. The value obtained for the gap between HOMO and LUMO is 7.85 eV. For the HOMO energy, the calculation gives -9.25 eV. The calculation puts the largest force on an atom at 2.24 eV/A.

=====

(2)
Molecular formula: C21H19Cl3N5O8S4V
Method: DFT, the ωB97M-V functional and the def2-TZVPD basis

Each line ends with the Löwdin charge.
Geometry (Å):
V: -0.908 -1.000 0.242  0.93
Cl: 1.619 -3.849 -1.003  0.68
Cl: 4.357 -3.105 -1.559  0.59
Cl: 2.186 -1.427 -2.449  0.63
S: 3.730 -0.201 0.118  0.52
S: 1.916 1.293 3.670  -0.21
S: 3.762 1.631 2.912  -0.24
S: 4.552 -0.036 2.012  0.08
O: -1.494 -2.750 -0.413  -0.13
O: 2.781 -2.425 1.235  -0.01
O: -3.633 0.409 -4.931  0.08
O: -1.798 0.769 0.718  -0.15
O: -2.901 2.566 -0.067  0.09
O: 0.656 -0.870 0.060  -0.34
O: -0.015 1.446 -1.946  0.04
O: -1.762 -3.850 -2.366  0.09
N: -1.110 -1.434 2.190  0.13
N: -1.387 1.678 3.474  0.21
N: -2.150 -0.577 -1.308  0.04
N: -0.981 1.346 5.724  0.17
N: -1.427 -0.477 4.420  0.13
C: 3.427 2.436 -2.375  -0.23
C: -1.762 -2.853 -1.684  -0.57
C: -3.154 0.105 -3.703  -0.27
C: 2.164 2.426 -1.754  -0.12
C: 2.732 -2.502 -1.147  -1.57
C: 5.551 4.048 0.331  -0.04
C: -3.166 1.035 -2.662  0.08
C: 4.362 3.543 -0.435  -0.26
C: 2.881 -1.774 0.245  -0.97
C: 4.503 2.991 -1.702  -0.02
C: -2.614 0.649 -1.464  -0.16
C: 0.701 2.987 0.277  -0.03
C: -2.439 1.453 -0.186  -0.55
C: 1.065 1.722 -2.427  -0.21
C: 3.102 3.564 0.144  -0.04
C: 3.681 1.812 -3.727  -0.06
C: -2.662 -1.191 -3.513  0.10
C: 1.998 3.002 -0.476  -0.18
C: -1.252 0.845 4.499  -0.54
C: -2.181 -1.496 -2.263  -0.13
C: -1.260 -0.977 3.246  -0.28
H: -2.677 -1.923 -4.307  0.14
H: -1.530 1.330 2.526  0.08
H: 0.781 3.632 1.152  0.08
H: 5.808 3.330 1.113  0.07
H: 3.500 0.736 -3.710  0.05
H: -0.553 2.256 5.760  0.10
H: 6.418 4.179 -0.316  0.07
H: -3.935 1.324 -4.941  0.11
H: 4.722 1.965 -4.009  0.07
H: -0.594 0.667 6.359  0.11
H: -0.145 3.301 -0.333  0.08
H: 1.275 1.411 -3.467  0.11
H: 0.495 1.976 0.630  0.06
H: -1.020 2.611 3.545  0.11
H: 3.058 2.246 -4.511  0.08
H: 5.485 2.967 -2.164  0.11
H: 2.983 3.976 1.139  0.10
H: -3.562 2.036 -2.782  0.13
H: 5.330 4.998 0.820  0.08

As for the spin multiplicity: 2. The value obtained for the gap between HOMO and LUMO (spin up / spin down) is 5.69 / 5.70 eV. Its total charge is -1. For the HOMO energy (spin up / spin down), the calculation gives -3.72 / -3.72 eV. Its expectation value of S² is 0.7624. The calculation puts the largest force on an atom at 1.45 eV/A.

=====

(3)
Molecular formula: C24H16F5ORuS2
Method: DFT, the ωB97M-V functional and the def2-TZVPD basis

Each line ends with the Löwdin charge.
Geometry (Å):
Ru: -0.463 -0.869 2.105  1.05
S: -0.734 1.399 2.617  0.94
S: 0.320 -1.010 -1.032  1.12
F: -0.189 4.269 2.393  0.15
F: 4.237 1.206 1.673  0.18
F: 1.850 0.020 2.242  0.05
F: 2.191 5.434 1.861  0.19
F: 4.366 3.890 1.500  0.22
O: 0.107 -0.183 0.278  -0.67
C: 2.187 -0.255 -2.798  -0.07
C: 2.803 0.630 -3.675  -0.04
C: -1.644 -2.629 1.532  -0.11
C: -0.355 -3.071 1.855  -0.11
C: -1.316 -1.234 -1.671  -0.41
C: -2.791 -2.584 -2.979  -0.04
C: -2.341 -0.344 -1.369  -0.08
C: 0.544 1.456 -2.246  -0.06
- - -
Please write out only the lines further up with the word "between" in them.
Its SMILES is O=C/C=C\C=O.CNN(C)C=O. The value obtained for the gap between HOMO and LUMO is 7.85 eV. For the HOMO energy, the calculation gives -9.25 eV. The calculation puts the largest force on an atom at 2.24 eV/A.
As for the spin multiplicity: 2. The value obtained for the gap between HOMO and LUMO (spin up / spin down) is 5.69 / 5.70 eV. Its total charge is -1. For the HOMO energy (spin up / spin down), the calculation gives -3.72 / -3.72 eV. Its expectation value of S² is 0.7624. The calculation puts the largest force on an atom at 1.45 eV/A.